error handling in expressjs

January 07, 2018

This post is mostly just a braindump for my own purposes, but perhaps it will come in handy for you too. This code should work great in Nodejs 6+, as it uses arrow functions and template strings.

ExpressJS is a great and flexible framework for writing REST APIs, but that also means that we need to implement basic things like error handling and reporting by ourselves. The basic problem we run into when naïvely writing APIs using express is that in order to return the correct error code, you need to manually set the status code in each response and make sure that your error messages propagate back to the client. You might end up with each route handler doing something like:

api.get("/albums", function(req, res) {
    getAlbums(req, function(err, result) {
        if (err) {
            res.status(500).send({ message: err.message });
        } else {

[Here the text breaks off for calculated crystals]
********
(1)
Sr3Rh2N4: relaxed, GGA-PBE.

Unit cell a=6.3667 b=10.3261 c=9.0585 alpha=90.00 beta=90.00 gamma=90.00
With the nearest neighbours (Å) after each atom.
Fractional positions:
Sr  0.7500  0.5000  0.4081  6 N 2.63-2.91
Sr  0.2500  0.5000  0.5919  6 N 2.63-2.91
Sr  0.1223  0.3450  0.9188  4 N 2.52-2.71
Sr  0.6223  0.3450  0.0812  4 N 2.52-2.71
Sr  0.6223  0.1550  0.4188  4 N 2.52-2.71
Sr  0.3777  0.6550  0.9188  4 N 2.52-2.71
Sr  0.7500  0.0000  0.0919  6 N 2.63-2.91
Sr  0.8777  0.6550  0.0812  4 N 2.52-2.71
Sr  0.3777  0.8450  0.5812  4 N 2.52-2.71
Sr  0.2500  0.0000  0.9081  6 N 2.63-2.91
Sr  0.8777  0.8450  0.4188  4 N 2.52-2.71
Sr  0.1223  0.1550  0.5812  4 N 2.52-2.71
Rh  0.2500  0.0000  0.2457  4 N 2.00-2.11
Rh  0.7500  0.5000  0.7457  4 N 2.00-2.11
Rh  0.3199  0.7500  0.2500  4 N 2.07-2.10
Rh  0.2500  0.5000  0.2543  4 N 2.00-2.11
Rh  0.8199  0.7500  0.7500  4 N 2.07-2.10
Rh  0.7500  0.0000  0.7543  4 N 2.00-2.11
Rh  0.6801  0.2500  0.7500  4 N 2.07-2.10
Rh  0.1801  0.2500  0.2500  4 N 2.07-2.10
N  0.9208  0.3567  0.6573  2 Rh 2.00-2.07
N  0.0260  0.5995  0.8080  2 Rh 2.10-2.11
N  0.0792  0.8567  0.1573  2 Rh 2.00-2.07
N  0.4208  0.1433  0.1573  2 Rh 2.00-2.07
N  0.4740  0.4005  0.8080  2 Rh 2.10-2.11
N  0.9740  0.0995  0.3080  2 Rh 2.10-2.11
N  0.5260  0.9005  0.3080  2 Rh 2.10-2.11
N  0.4740  0.0995  0.6920  2 Rh 2.10-2.11
N  0.0260  0.9005  0.6920  2 Rh 2.10-2.11
N  0.5792  0.6433  0.6573  2 Rh 2.00-2.07
N  0.9208  0.1433  0.8427  2 Rh 2.00-2.07
N  0.5792  0.8567  0.8427  2 Rh 2.00-2.07
N  0.4208  0.3567  0.3427  2 Rh 2.00-2.07
N  0.5260  0.5995  0.1920  2 Rh 2.10-2.11
N  0.9740  0.4005  0.1920  2 Rh 2.10-2.11
N  0.0792  0.6433  0.3427  2 Rh 2.00-2.07

Calculated values
Calculated total energy (eV per atom): -6.131
Formation energy (eV per formula unit): -3.482



(2)
Zr4Rh2N: relaxed, GGA-PBE.

Unit cell a=8.8211 b=8.8211 c=8.8211 alpha=60.00 beta=60.00 gamma=60.00
With the nearest neighbours (Å) after each atom.
Fractional positions:
Zr  0.1826  0.1826  0.8174  2 N 2.32
Zr  0.6250  0.6250  0.1250  6 Rh 2.76
Zr  0.4326  0.4326  0.0674  2 N 2.32
Zr  0.0674  0.4326  0.4326  2 N 2.32
Zr  0.8174  0.8174  0.1826  2 N 2.32
Zr  0.1250  0.6250  0.6250  6 Rh 2.76
Zr  0.1826  0.8174  0.8174  2 N 2.32
Zr  0.4326  0.0674  0.0674  2 N 2.32
Zr  0.8174  0.1826  0.1826  2 N 2.32
Zr  0.8174  0.1826  0.8174  2 N 2.32
Zr  0.6250  0.1250  0.6250  6 Rh 2.76
Zr  0.1826  0.8174  0.1826  2 N 2.32
Zr  0.0674  0.0674  0.4326  2 N 2.32
Zr  0.6250  0.6250  0.6250  6 Rh 2.76
Zr  0.4326  0.0674  0.4326  2 N 2.32
Zr  0.0674  0.4326  0.0674  2 N 2.32
Rh  0.4089  0.4089  0.7734  6 Zr 2.76-2.82
Rh  0.4766  0.8411  0.8411  6 Zr 2.76-2.82
Rh  0.4089  0.4089  0.4089  6 Zr 2.76-2.82
Rh  0.8411  0.8411  0.4766  6 Zr 2.76-2.82
Rh  0.8411  0.4766  0.8411  6 Zr 2.76-2.82
Rh  0.4089  0.7734  0.4089  6 Zr 2.76-2.82
Rh  0.7734  0.4089  0.4089  6 Zr 2.76-2.82
Rh  0.8411  0.8411  0.8411  6 Zr 2.76-2.82
N  0.1250  0.1250  0.1250  6 Zr 2.32
N  0.1250  0.6250  0.1250  6 Zr 2.32
********

...and that's just clumsy! We can definitely do better.

how do we do async?

There are a lot of articles about doing async in node.js so I won't go over all the benefits and drawbacks of callbacks vs promises vs async functions here. In my opinion, callbacks require a lot of boilerplate compared to promises or async functions, and that tanks their rating. The less boilerplate there is in my code, the easier it is to read. I prefer to use promises, but async functions are pretty great too (and they boil down to the same code, anyway). So now we've got this:

api.get("/albums", function(req, res) {
    return getAlbums(req)
        .then(result => res.send(result))
        .catch(err => res.status(500).send({ message: err.message }));

Great! Fewer lines of code. I like to return Promises as a matter of habit. If the caller doesn't care about the return, fine; if they do, they have it.

how do we unify error handling?

Misplaced materials data:
____________
1.
Here is a geometry-optimized Rb2P3Se6 structure from the Materials Project database. Energies are from PBE.

Cell: 10.8567 15.6064 16.9975 Å, 90.00 90.00 90.00°
With the nearest neighbours (Å) after each atom.
Fractional coordinates of all 88 atoms:
Se (0.5605, 0.9275, 0.3233)  1 P 2.16
Se (0.5299, 0.1925, 0.1475)  1 P 2.16
Se (0.0000, 0.1918, 0.8624)  2 P 2.31-2.33
Se (0.4395, 0.9275, 0.8233)  1 P 2.16
Se (0.7803, 0.7979, 0.2350)  2 P 2.33
Se (0.9553, 0.4372, 0.9135)  1 P 2.16
Se (0.7619, 0.5703, 0.5522)  1 P 2.17
Se (0.7338, 0.5570, 0.0107)  2 P 2.32-2.33
Se (0.7803, 0.2979, 0.2650)  2 P 2.33
Se (0.0110, 0.4543, 0.6587)  1 P 2.15
Se (0.4395, 0.4275, 0.6767)  1 P 2.16
Se (0.7242, 0.2840, 0.8016)  1 P 2.15
Se (0.2662, 0.5570, 0.5107)  2 P 2.32-2.33
Se (0.7338, 0.0570, 0.4893)  2 P 2.32-2.33
Se (0.7619, 0.0703, 0.9478)  1 P 2.17
Se (0.9553, 0.9372, 0.5865)  1 P 2.16
Se (0.0000, 0.1918, 0.3624)  2 P 2.31-2.33
Se (0.9782, 0.6727, 0.8964)  1 P 2.16
Se (0.7242, 0.7840, 0.6984)  1 P 2.15
Se (0.2662, 0.0570, 0.9893)  2 P 2.32-2.33
Se (0.9890, 0.4543, 0.1587)  1 P 2.15
Se (0.9782, 0.1727, 0.6036)  1 P 2.16
Se (0.0447, 0.9372, 0.0865)  1 P 2.16
Se (0.0447, 0.4372, 0.4135)  1 P 2.16
Se (0.9890, 0.9543, 0.3413)  1 P 2.15
Se (0.0110, 0.9543, 0.8413)  1 P 2.15
Se (0.5138, 0.1613, 0.3887)  2 P 2.31-2.33
Se (0.4859, 0.8972, 0.5816)  1 P 2.16
Se (0.4859, 0.3972, 0.9184)  1 P 2.16
Se (0.5141, 0.3972, 0.4184)  1 P 2.16
Se (0.4862, 0.1613, 0.8887)  2 P 2.31-2.33
Se (0.4701, 0.6925, 0.8525)  1 P 2.16
Se (0.4701, 0.1925, 0.6475)  1 P 2.16
Se (0.2758, 0.2840, 0.3016)  1 P 2.15
Se (0.2381, 0.0703, 0.4478)  1 P 2.17
Se (0.0218, 0.6727, 0.3964)  1 P 2.16
Se (0.5605, 0.4275, 0.1767)  1 P 2.16
Se (0.2381, 0.5703, 0.0522)  1 P 2.17
Se (0.0000, 0.6918, 0.6376)  2 P 2.31-2.33
Se (0.2197, 0.7979, 0.7350)  2 P 2.33
Se (0.0218, 0.1727, 0.1036)  1 P 2.16
Se (0.4862, 0.6613, 0.6113)  2 P 2.31-2.33
Se (0.0000, 0.6918, 0.1376)  2 P 2.31-2.33
Se (0.5141, 0.8972, 0.0816)  1 P 2.16
Se (0.2758, 0.7840, 0.1984)  1 P 2.15
Se (0.2197, 0.2979, 0.7650)  2 P 2.33
Se (0.5138, 0.6613, 0.1113)  2 P 2.31-2.33
Se (0.5299, 0.6925, 0.3525)  1 P 2.16
Rb (0.2755, 0.5442, 0.2785)  10 Se 3.79-4.20, 2 P 3.96-4.15
Rb (0.2755, 0.0442, 0.2215)  10 Se 3.79-4.20, 2 P 3.96-4.15
Rb (0.2673, 0.8419, 0.4106)  1 P 3.54, 7 Se 3.63-3.85
Rb (0.2673, 0.3419, 0.0894)  1 P 3.54, 7 Se 3.63-3.85
Rb (0.2385, 0.3020, 0.5255)  7 Se 3.54-3.90, 1 P 3.92
Rb (0.7615, 0.8020, 0.4745)  7 Se 3.54-3.90, 1 P 3.92
Rb (0.7623, 0.5198, 0.3366)  1 P 3.51, 7 Se 3.57-3.83
Rb (0.7327, 0.8419, 0.9106)  1 P 3.54, 7 Se 3.63-3.85
Rb (0.2385, 0.8020, 0.9745)  7 Se 3.54-3.90, 1 P 3.92
Rb (0.7615, 0.3020, 0.0255)  7 Se 3.54-3.90, 1 P 3.92
Rb (0.2377, 0.0198, 0.6634)  1 P 3.51, 7 Se 3.57-3.83
Rb (0.7245, 0.0442, 0.7215)  10 Se 3.79-4.20, 2 P 3.96-4.15
Rb (0.7327, 0.3419, 0.5894)  1 P 3.54, 7 Se 3.63-3.85
Rb (0.7623, 0.0198, 0.1634)  1 P 3.51, 7 Se 3.57-3.83
Rb (0.2377, 0.5198, 0.8366)  1 P 3.51, 7 Se 3.57-3.83
____________

In our code above, we're still catching every error individually. It would be easy to mess up one handler and hose the client if they rely on us to send back errors in a consistent format. Fortunately, there's a great little library called express-promise-router. It replaces express's Router and makes sure that if one of our route handlers throws an exception, we can catch it at the end of our middleware chain in one error handler function. So, assuming we've instantiated api with express-promise-router, we can do something like this:

api.get("/albums", function(req, res) {
    return getAlbums(req).then(result => res.send(result));

api.use(function errorHandler(err, req, res, next) {
    res.status(500).send({ message: err.message });

how do we return the right error code?

Returning the correct error code is crucial for clients. If input validation failed, the client needs to know what to change. If the API endpoint requires authentication, the client needs to know to direct the end user to a login page. If it was an internal server error, there may not be much the client can do beyond telling the end user that something went wrong.

Now that we have one error handling function to rule them all, we can write all of our status code setting in one place. However, what's our convention going to be for setting the status code? Well, there's another great library for that. It's called http-errors and it's authored by the same guy who maintains express. Using this library, we can throw errors of the appropriate type inside our route handlers, catch them in the error handler, and set the status code by checking what constructor was used to create the error. In fact, errors created from the library already have a statusCode property we can use!

const { BadRequest } = require("http-errors");

function getAlbums(req) {
    if (req.query.year && isNaN(req.query.year)) {
        throw new BadRequest(`"year" query parameter must be a number!`);
    // dummy database code! the important thing is that it's returning a promise.
    return database.execute(`Get_Albums`, { year: req.query.year });

api.get("/albums", function(req, res) {
    return getAlbums(req).then(result => res.send(result));

api.use(function errorHandler(err, req, res, next) {
    res.status(err.statusCode || 500).send({ message: err.message });

Now if we send a bogus year query parameter, we'll get an error 400 back with a message that tells us what to fix.

Depending on what other libraries your route handlers use, you may have other type of errors to check for. For instance, the mssql library will throw its own kind of RequestError if the database throws an error upon execution of the stored procedure or query. You'll want to capture that in your logs, because it contains valuable information like the exact stored procudure and line number where the error was thrown:

function errorHandler(err, req, res, next) {
    if (err instanceof sql.RequestError && err.code === "EREQUEST") {
        console.error("Error:", err.message, {
            procName: err.procName,
            line: err.lineNumber
    res.status(err.statusCode || 500).send({ message: err.message });

You might also want to send a generic response if it's an InternalServerError for security purposes. And thanks to express-promise-router, your error handling code is always in one place. You could even publish it as an independent package to use in all of your projects.

There's a lot more to explore here. RFC 7807 defines a verbose standard for describing the exact nature of an error, and we could implement that standard for input validation using a validation library like joi. Hopefully this serves as a useful starting point!